Search Results for : Personality

Neuroticism and Personality: Exploring Emotional Instability

Personality in itself is very intriguing and inquisitive to almost everyone. In layman’s terms, Personality is what a person is. It is all about the person, ‘in and out’. The word ‘Personality’ comes from the Roman word ‘persona’ which means


Schizoid Personality Disorder

Imagine you wake up one day and you are not able to connect emotionally with anyone, you do not feel any emotions that strongly, you feel you are detached from the entire world. What seems like a far-fetched imagination to us


The Psychology Behind Rebellious Personality 

Society views rebels or rebellious as people who wear leather jackets and ripped jeans and break the rules or someone who has brightly coloured hair, unusual hairstyles and tattoos or piercings. However, this particular perception is stereotypical and surface-level and


The Light Triad of Personality

The article is interrupted by molecular data:
- - -
The following is a DFT calculation (wB97M-V/def2-TZVPD) of a molecular structure, C64H164As5F30N9O9 in a non-equilibrium geometry.

Last column: Löwdin charge in e.
Positions of all 281 atoms, in Å:
H (11.81817, -5.88152, 0.05477)  0.107
H (8.61562, -3.28975, -5.90397)  0.129
H (5.44592, -5.08860, -8.39391)  0.128
H (7.43189, -9.40618, -13.48356)  0.083
H (2.17428, -14.08681, -14.95752)  0.086
H (2.92938, -9.44016, -14.01702)  0.116
N (13.07150, -7.38750, -0.83730)  -0.182
H (15.75152, -7.17054, -2.03477)  0.061
C (6.49682, -9.11646, -13.00418)  -0.143
C (9.64130, -8.59289, -6.15258)  -0.069
C (1.47603, -13.34716, -14.56579)  -0.040
H (12.00839, -5.37342, -2.64936)  0.107
H (10.79737, -6.99085, -8.52609)  0.090
H (8.78820, -6.02969, -1.75648)  0.111
H (13.43178, -5.92462, 0.69427)  0.116
C (12.00037, -8.31812, -0.26862)  -0.150
H (11.66901, -13.15080, -18.05302)  0.105
H (5.45765, -16.21770, -4.53577)  0.092
N (16.47239, -13.26933, -6.85965)  0.240
C (7.87820, -11.91649, -10.69631)  -0.075
F (10.20649, -4.86674, -12.67542)  -0.277
C (12.94973, -7.26149, -2.45110)  -0.025
N (2.95278, -13.79095, -4.84355)  -0.211
C (8.93807, -12.28405, -4.57517)  -0.063
C (2.00509, -12.69042, -13.25257)  -0.108
F (6.37950, -8.48502, -6.31274)  -0.307
H (6.92026, -8.99484, -12.00718)  0.085
H (6.53426, -8.14501, -9.08555)  0.069
C (20.18896, -11.42070, -6.03837)  -0.112
F (11.74847, -4.55715, -9.46807)  -0.279
F (9.53457, -5.12989, -10.17339)  -0.301
C (11.08510, -1.79510, -5.40566)  -0.038
H (17.91831, -11.20067, -7.05598)  0.104
C (3.73214, -2.20242, -11.01068)  -0.057
As (12.39719, -14.98259, -9.16514)  0.952
H (10.79085, -11.21634, -8.08563)  0.108
F (7.32200, -7.56822, -3.98840)  -0.303
H (3.81910, -4.08070, -11.52389)  0.105
H (4.11928, -2.07518, -9.99972)  0.084
H (8.51993, -16.43213, -7.81800)  0.097
C (7.70838, -15.85531, -7.37441)  -0.036
N (9.80108, -12.65144, -17.33107)  -0.188
H (8.93862, -10.18352, -7.45696)  0.116
F (15.57259, -8.75540, -4.11703)  -0.223
H (6.12593, -8.15280, -13.35334)  0.092
H (4.48719, -5.11361, -9.94241)  0.124
H (3.86254, -12.44770, -9.20827)  0.075
H (11.22278, -10.39231, -0.33257)  0.091
O (9.47008, -4.89017, -7.02358)  -0.245
H (5.65698, -1.08332, -13.38933)  0.080
H (9.42428, -8.52943, -10.00280)  0.128
H (3.54149, -9.91224, -11.87069)  0.098
C (9.70228, -10.55376, -10.52189)  -0.237
H (7.98731, -11.88421, -16.56554)  0.123
H (7.59852, -4.71744, -11.97982)  0.084
F (6.46812, -13.71524, -13.24759)  -0.325
H (10.83704, -15.24481, -18.14524)  0.083
C (10.81113, -3.01287, -6.32878)  -0.192
F (4.89355, -7.14283, -4.60587)  -0.285
H (6.72048, -16.31080, -7.30595)  0.089
C (4.60069, -13.12445, -8.77787)  -0.054
H (11.71011, -13.26938, -16.35027)  0.124
H (10.42233, -11.36656, -10.42708)  0.116
C (11.77084, -6.40525, -2.90821)  -0.229
O (8.28343, -15.21168, -6.19547)  -0.224
H (3.08520, -11.84922, -7.17067)  0.112
H (9.09531, -11.77606, -3.62368)  0.085
C (5.47547, -5.08504, -9.48350)  -0.218
H (0.23520, -14.50296, -4.09142)  0.091
- - -

Humans can never be seen as being black or white; they are always in shades of grey. We are never completely good or bad, we exist on the continuum between the two. Earlier, most of the studies focused on the


Birth Order Theory: How Birth Order Affects Your Personality

Birth order refers back to the order a toddler is born when it comes to their siblings, including whether they are first-born, center-born, or final-born. Psychologists frequently look at how beginning order can affect improvement, behaviour patterns, and character traits,


Histrionic Personality Disorder (HPD): Symptoms, Treatment and Diagnosis

A skewed sense of self and extreme, erratic emotions are symptoms of histrionic personality disorder (HPD). One definition of histrionic is “dramatic or theatrical”. “Individuals suffering with histrionic personality disorder have an inflated sense of self-worth that is based on


What is Schizotypal Personality Disorder?

People with schizotypal personality disorder are frequently considered as weird or quirky, and they typically have few intimate connections. They have difficulty in understanding how the connections are formed and how relationships exists. They may also misread others’ goals and acts,

Awareness Self Help

Are You Aware? Symptoms That Could Signal a Personality Disorder

Personality is essential, To define who we are as people. It encompasses a special combination of characteristics, such as attitudes, beliefs, and behaviours, as well as how we show these characteristics in the relationships we have with other people and

Positive Self Help

The link between Personality Traits and Relationship Satisfaction

The concept of personality is often an area of interest to many of us. You may find yourself filling out questionnaires online to get a deeper understanding of yourself and to find out how you function. Some people even put


It’s Important to Understand the Complexities of Borderline Personality Disorder

A child seeks affection and security through their caregivers and their development depends on their experiences of childhood. When these caregivers neglect or abuse the child instead of providing security, the child feels threatened and unsafe in his own environment.